Activity
What is needed: work out how many lines below have the word "P4" in them; a number is enough.

Input
=====
The following is a PBE calculation of Nd2GaAg after structural relaxation, from Alexandria via LeMat-Bulk.

a = 3.6674 Å, b = 3.6674 Å, c = 7.6731 Å
α = 90.00°, β = 90.00°, γ = 90.00°
Element x y z (fractional)
Nd (0.0000, 0.0000, 0.2418)
Nd (0.0000, 0.0000, 0.7582)
Ag (0.5000, 0.5000, 0.5000)
Ga (0.5000, 0.5000, 0.0000)

Formation enthalpy at 0 K = -0.41 eV/atom
DOS(E_F) = 4.4 states/eV/f.u.
SG = P4/mmm (123)
Uncorrected energy = -4.264 eV/atom

The following is a PBE calculation of K2HfRh after structural relaxation, from Alexandria via LeMat-Bulk.

a = 12.4826 Å, b = 12.4826 Å, c = 9.1418 Å
α = 46.94°, β = 46.94°, γ = 90.00°
Element x y z (fractional)
Rh (0.2500, 0.7500, 0.5000)
Rh (0.5000, 0.5000, 0.0000)
Hf (0.7500, 0.2500, 0.5000)
Hf (0.0000, 0.0000, 0.0000)
K (0.2786, 0.6250, 0.2500)
K (0.4714, 0.1250, 0.2500)
K (0.3750, 0.5286, 0.7500)
K (0.8750, 0.7214, 0.7500)

Formation enthalpy at 0 K = 0.70 eV/atom
DOS(E_F) = 4.6 states/eV/f.u.
Relative energy among the computed polymorphs = 0 meV/atom
SG = I-42d (122)
Uncorrected energy = -4.178 eV/atom

The following is a PBE calculation of Li3Mg4Hg after structural relaxation, from Alexandria via LeMat-Bulk.

a = 3.9733 Å, b = 3.4304 Å, c = 13.0366 Å
α = 97.72°, β = 98.77°, γ = 90.00°
Element x y z (fractional)
Li (0.1544, 0.1529, 0.3088)
Li (0.0000, 0.5000, 0.0000)
Li (0.8456, 0.8471, 0.6912)
Mg (0.5924, 0.5897, 0.1848)
Mg (0.7159, 0.7141, 0.4318)
Mg (0.2841, 0.2859, 0.5682)
Mg (0.4076, 0.4103, 0.8152)
Hg (0.5000, 0.0000, 0.0000)

Formation enthalpy at 0 K = -0.06 eV/atom
DOS(E_F) = 3.1 states/eV/f.u.
Relative energy among the computed polymorphs = 90 meV/atom
SG = C2/m (12)
Uncorrected energy = -1.616 eV/atom

The following is a PBE calculation of Ba2NpVN5 after structural relaxation, from Alexandria via LeMat-Bulk.

a = 3.5961 Å, b = 7.7652 Å, c = 11.6610 Å
α = 90.00°, β = 90.00°, γ = 103.39°
Each line ends with the local moment (μB).
Element x y z (fractional)
N (0.7086, 0.4173, 0.1370)  -0.08
N (0.3283, 0.6566, 0.0081)  -0.07
N (0.6734, 0.3467, 0.9069)  -0.04
N (0.0523, 0.1046, 0.0027)  -0.04
N (0.2914, 0.5827, 0.6370)  -0.08
N (0.4994, 0.9988, 0.3058)  -0.01
N (0.3266, 0.6533, 0.4069)  -0.04
N (0.6717, 0.3434, 0.5081)  -0.07
N (0.9477, 0.8954, 0.5027)  -0.04
N (0.5006, 0.0012, 0.8058)  -0.01
Ba (0.8619, 0.7238, 0.8253)  0.00
Ba (0.1079, 0.2159, 0.6752)  0.00
Ba (0.8921, 0.7841, 0.1752)  0.00
Ba (0.1381, 0.2762, 0.3253)  0.00
=====

Reply
1